We Invite Failure.
____________
1.
# Fe2OF3
Theoretical XRD peak list, Cu Kα (λ = 1.5418 Å). Input: a cell relaxed with GGA+U.
Kinematic intensities with the Lorentz-polarization factor, no thermal factor.

Cell and atoms:
a b c (Å): 7.0115 6.7980 6.1700
angles (deg): 90.00 90.00 90.00
Space group Cmcm (No. 63)
One atom of each set of equivalent atoms:
Fe 0.0000 0.0000 0.0000 [4 per cell]
Fe 0.0000 0.4694 0.2500 [4 per cell]
O 0.0000 0.1681 0.2500 [4 per cell]
F 0.0000 0.2099 0.7500 [4 per cell]
F 0.2049 0.5000 0.0000 [8 per cell]

Main lines, by intensity (15° ≤ 2θ ≤ 90°):
d_spacing  I (rel.)  h k l
2.608  100  1 1 2
3.399  99  0 2 0
3.506  97  2 0 0
1.797  62  3 1 2
1.767  53  1 3 2
1.439  40  3 3 2
1.753  23  4 0 0
2.316  19  2 0 2
2.284  18  0 2 2
1.542  17  0 0 4

2.
# Fe6O7F5
Theoretical XRD peak list, Cu Kα (λ = 1.5418 Å). Input: a cell relaxed with GGA+U.
Kinematic intensities with the Lorentz-polarization factor, no thermal factor.

Cell and atoms:
a b c (Å): 9.3103 6.4039 7.6936
angles (deg): 90.00 116.19 90.00
Space group Cm (No. 8)
One atom of each set of equivalent atoms:
Fe 0.0000 0.0000 0.0000 [2 per cell]
Fe 0.0061 0.0000 0.4950 [2 per cell]
Fe 0.1602 0.5000 0.1859 [2 per cell]
Fe 0.1685 0.5000 0.6521 [2 per cell]
Fe 0.3393 0.0000 0.8318 [2 per cell]
Fe 0.3503 0.0000 0.3296 [2 per cell]
O 0.0019 0.3006 0.9990 [4 per cell]
O 0.0687 0.5000 0.3746 [2 per cell]
O 0.1703 0.1930 0.6636 [4 per cell]
O 0.3413 0.3060 0.3336 [4 per cell]
F 0.1142 0.0000 0.2948 [2 per cell]
F 0.2342 0.0000 0.0355 [2 per cell]
F 0.2690 0.5000 0.9493 [2 per cell]
F 0.4028 0.5000 0.7026 [2 per cell]
F 0.4392 0.0000 0.6301 [2 per cell]

Main lines, by intensity (15° ≤ 2θ ≤ 90°):
d_spacing  I (rel.)  h k l
3.535  100  2 0 -2
2.554  93  3 1 0
3.202  89  0 2 0
1.787  63  1 1 -4
1.694  49  3 3 0
1.402  40  1 3 -4
2.373  17  2 2 -2
1.768  17  4 0 -4
1.515  15  4 0 2
2.301  15  0 0 3


# 1
Starting from DFT lattice parameters and positions (GGA-PBE), the powder diffraction line list of K2NaInCl6 was calculated for Cu Kα (λ = 1.5418 Å).
Kinematic intensities with the Lorentz-polarization factor, no thermal factor.

a = 7.450 Å, b = 7.450 Å, c = 7.450 Å
α = 60.00°, β = 60.00°, γ = 60.00°
Positions (direct):
1 K 0.250 0.250 0.250
2 K 0.750 0.750 0.750
3 Na 0.000 0.000 0.000
4 In 0.500 0.500 0.500
5 Cl 0.259 0.259 0.741
6 Cl 0.259 0.741 0.259
7 Cl 0.259 0.741 0.741
8 Cl 0.741 0.259 0.259
9 Cl 0.741 0.259 0.741
10 Cl 0.741 0.741 0.259

The 10 most intense peaks (2θ = 5–70°), by angle:
two_theta  Rel. int.
14.6  62.0
16.8  54.7
23.9  60.4
28.1  27.0
29.4  26.7
34.0  100.0
38.2  25.8
42.0  26.4
48.9  63.7
60.9  20.4

---

# 2
Starting from DFT lattice parameters and positions (GGA-PBE), the powder diffraction line list of K6InTe4Cl was calculated for Cu Kα (λ = 1.5418 Å).
Kinematic intensities with the Lorentz-polarization factor, no thermal factor.

a = 11.490 Å, b = 11.490 Å, c = 8.142 Å
α = 90.00°, β = 90.00°, γ = 120.00°
Positions (direct):
1 K 0.042 0.521 0.000
2 K 0.124 0.249 0.699
____________
-- Back to the page --
We realize that failure is a part of life and we not only accept that, but also embrace it. If we live up to our mission, we are going to consistently attempt to change the world, and sometimes, we will need to start from scratch after realizing it doesn’t work. Along the way, we must always remember that failure is not the end, but rather the beginning of a creative renaissance that informs our future decisions.
We Love Risk.
There is something so freeing in taking a risk. While the fear in pushing boundaries may never go away, knowing that we have the courage to actually push those boundaries is exciting. Risk is too often set aside in favor of a guarantee. We view that as settling and want to always strive to see risk as an opportunity, not as a potential liability.
We Care About Our Clients First. Not Profits.
We are competing in a people business. Too often, companies desire higher profits rather than exceeding the expectations of their clients. We believe that our clients’ needs are paramount and while we are a for-profit company, our success is built on our people, our desire to do great things, and the reputation we build. Profits play no role in that.
We Want to Change the World for the Better.
We are stewards for the next generation. We will always strive to do what’s best for the greatest number of people and ensure that our communications are neither self-serving nor negatively impacting the world. We have been handed the opportunity to promote great things and enhance the lives for people who will ultimately use the products and services we promote. We must always respect that.
We Must Only Do Good.
Not all products and services fit into our values. We will work only with those brands that share our vision for positive change. We will always aim to promote freedom, equality, human rights, and value to people around the world. We are a moral and ethical firm, and will not allow any opportunity to change that.
We Never Let Success Satisfy Us.
Accolades are nice, but they are fleeting. While we may have had success in the past, we realize that our work is never done. All of our clients have needs that must be addressed in a timely fashion, and our previous success will not guarantee our future success. We will use our success to inform our future decision-making, but not allow us to forget that tomorrow is a new day.
We Care About Family.
We never forget that we are a company made up of individuals who have lives outside of work. We always consider the ways in which our work will impact our families and take care to properly balance our hard work with our personal lives. We firmly believe we can better serve our clients by ensuring proper care of ourselves and those we love.
We Treat All Clients Equally.
New or old, large or small, all clients matter equally to us and receive the same level of quality and attention. We do not differentiate clients by size or profitability and hold back the “best” work for certain companies. We deliver the finest consulting services to every client, no matter their size or budget.
We Are Always Looking to the Future.
We have no desire to follow the crowd. We are constantly examining conventional wisdom and finding holes in it to determine how we could benefit our clients more than any other firm. We are unorthodox in our thinking and believe that the combination of risk and innovation will allow us to develop and be first to the market with new techniques and services that will improve our service line.
The ‘D2’ Brand Means Something.
The “D2” signature we place on all of our services means something to us. We believe that there is expertise, inspiration, and care behind our brand, and we always strive to maintain that. We are not satisfied with “good enough” and will never place the D2 brand on anything of which we are not personally proud. The D2 brand is something special we want to preserve and grow for future generations. We take its image seriously.